- - -
Entry 1:
The following is a PBE with a Hubbard U calculation of a relaxed NiTeO4 crystal, from the Materials Project.

a = 5.3653 Å, b = 6.1918 Å, c = 10.2915 Å
α = 72.50°, β = 79.56°, γ = 89.99°
Last column: nearest neighbours and their distance in Å.
Element x y z (fractional)
O 0.0930 0.6724 0.6551  1 Te 1.90, 2 Ni 2.07
O 0.3543 0.0690 0.3621  2 Te 2.04, 1 Ni 2.20
O 0.4070 0.0777 0.8448  1 Te 1.90, 2 Ni 2.07
O 0.8544 0.3189 0.8621  2 Te 2.04, 1 Ni 2.20
O 0.5930 0.4223 0.1552  1 Te 1.90, 2 Ni 2.07
O 0.1456 0.1811 0.1379  2 Te 2.04, 1 Ni 2.20
O 0.8544 0.8189 0.8621  2 Te 2.04, 1 Ni 2.20
O 0.3544 0.5690 0.3621  2 Te 2.04, 1 Ni 2.20
O 0.1456 0.6811 0.1379  2 Te 2.04, 1 Ni 2.20
O 0.6457 0.4310 0.6379  2 Te 2.04, 1 Ni 2.20
O 0.9070 0.3277 0.3449  1 Te 1.90, 2 Ni 2.07
O 0.4070 0.5776 0.8448  1 Te 1.90, 2 Ni 2.06-2.07
O 0.0930 0.1723 0.6551  1 Te 1.90, 2 Ni 2.07
O 0.6456 0.9310 0.6379  2 Te 2.04, 1 Ni 2.20
O 0.5930 0.9224 0.1552  1 Te 1.90, 2 Ni 2.06-2.07
O 0.9070 0.8276 0.3449  1 Te 1.90, 2 Ni 2.07
Ni 0.2500 0.3749 0.7498  6 O 2.07-2.20
Ni 0.2504 0.8749 0.7499  6 O 2.06-2.20
Ni 0.7499 0.1251 0.2502  6 O 2.07-2.20
Ni 0.7496 0.6252 0.2501  6 O 2.06-2.20
Te 0.7501 0.6250 0.7500  6 O 1.90-2.04
Te 0.2499 0.3750 0.2500  6 O 1.90-2.04
Te 0.2499 0.8750 0.2500  6 O 1.90-2.04
Te 0.7501 0.1250 0.7500  6 O 1.90-2.04

## Properties
**Polymorph energy (0 for the lowest one)**: 0.0991 eV per atom

=====

Entry 2:
The following is a PBE with a Hubbard U calculation of a relaxed Ba2V3BiO11 crystal, from the Materials Project.

a = 5.8776 Å, b = 7.8674 Å, c = 25.1345 Å
α = 90.00°, β = 102.59°, γ = 90.00°
Last column: nearest neighbours and their distance in Å.
Element x y z (fractional)
Ba 0.1235 0.2482 0.3694  6 O 2.70-2.93
Ba 0.1235 0.2518 0.8694  6 O 2.70-2.93
Ba 0.2237 0.7415 0.9726  9 O 2.84-3.02
Ba 0.2237 0.7585 0.4726  9 O 2.84-3.02
Ba 0.7763 0.2415 0.5274  9 O 2.84-3.02
Ba 0.7763 0.2585 0.0274  9 O 2.84-3.02
Ba 0.8765 0.7482 0.1306  6 O 2.70-2.93
Ba 0.8765 0.7518 0.6306  6 O 2.70-2.93
V 0.0501 0.7445 0.7989  4 O 1.69-1.81
V 0.0501 0.7555 0.2989  4 O 1.69-1.81
V 0.3376 0.0174 0.5923  4 O 1.71-1.83
V 0.3376 0.4826 0.0923  4 O 1.71-1.83
V 0.3433 0.0213 0.0907  4 O 1.70-1.82
V 0.3433 0.4787 0.5907  4 O 1.70-1.82
V 0.6567 0.5213 0.4093  4 O 1.70-1.82
V 0.6567 0.9787 0.9093  4 O 1.70-1.82
V 0.6624 0.5174 0.9077  4 O 1.71-1.83
V 0.6624 0.9826 0.4077  4 O 1.71-1.83
V 0.9499 0.2445 0.7011  4 O 1.69-1.81
V 0.9499 0.2555 0.2011  4 O 1.69-1.81
Bi 0.4926 0.5025 0.2525  4 O 2.24-2.34
Bi 0.4926 0.9975 0.7525  4 O 2.24-2.34
Bi 0.5074 0.0025 0.2475  4 O 2.24-2.34
Bi 0.5074 0.4975 0.7475  4 O 2.24-2.34
O 0.0672 0.5476 0.3154  1 V 1.69
O 0.0672 0.9524 0.8154  1 V 1.69
O 0.0729 0.5524 0.5600  1 V 1.71
O 0.0729 0.9476 0.0600  1 V 1.71
O 0.0773 0.5603 0.0569  1 V 1.71
O 0.0773 0.9397 0.5569  1 V 1.71
O 0.1008 0.6221 0.8560  1 V 1.70
O 0.1008 0.8779 0.3560  1 V 1.70
O 0.2386 0.2133 0.7431  1 V 1.81
O 0.2386 0.2867 0.2431  1 V 1.81
O 0.2641 0.7082 0.7585  1 V 1.80
O 0.2641 0.7918 0.2585  1 V 1.80
O 0.3388 0.2479 0.5840  2 V 1.82-1.83
O 0.3388 0.2521 0.0840  2 V 1.82-1.83
O 0.3903 0.5578 0.1589  1 V 1.74
O 0.3903 0.9422 0.6589  1 V 1.74
O 0.4187 0.5582 0.6564  1 V 1.73
O 0.4187 0.9418 0.1564  1 V 1.73
O 0.4578 0.0545 0.9435  1 V 1.70
O 0.4578 0.4455 0.4435  1 V 1.70
O 0.4595 0.0616 0.4405  1 V 1.71
O 0.4595 0.4384 0.9405  1 V 1.71
O 0.5405 0.5616 0.0595  1 V 1.71
O 0.5405 0.9384 0.5595  1 V 1.71
O 0.5422 0.5545 0.5565  1 V 1.70
O 0.5422 0.9455 0.0565  1 V 1.70
O 0.5813 0.0582 0.8436  1 V 1.73
O 0.5813 0.4418 0.3436  1 V 1.73
O 0.6097 0.0578 0.3411  1 V 1.74
O 0.6097 0.4422 0.8411  1 V 1.74
O 0.6612 0.7479 0.9160  2 V 1.82-1.83
O 0.6612 0.7521 0.4160  2 V 1.82-1.83
O 0.7359 0.2082 0.7415  1 V 1.80
O 0.7359 0.2918 0.2415  1 V 1.80
O 0.7614 0.7133 0.7569  1 V 1.81
O 0.7614 0.7867 0.2569  1 V 1.81
O 0.8992 0.1221 0.6440  1 V 1.70
O 0.8992 0.3779 0.1440  1 V 1.70
O 0.9227 0.0603 0.4431  1 V 1.71
O 0.9227 0.4397 0.9431  1 V 1.71
O 0.9271 0.0524 0.9400  1 V 1.71
- - -

Your job: type out everything above without altering anything.

Entry 1:
The following is a PBE with a Hubbard U calculation of a relaxed NiTeO4 crystal, from the Materials Project.

a = 5.3653 Å, b = 6.1918 Å, c = 10.2915 Å
α = 72.50°, β = 79.56°, γ = 89.99°
Last column: nearest neighbours and their distance in Å.
Element x y z (fractional)
O 0.0930 0.6724 0.6551  1 Te 1.90, 2 Ni 2.07
O 0.3543 0.0690 0.3621  2 Te 2.04, 1 Ni 2.20
O 0.4070 0.0777 0.8448  1 Te 1.90, 2 Ni 2.07
O 0.8544 0.3189 0.8621  2 Te 2.04, 1 Ni 2.20
O 0.5930 0.4223 0.1552  1 Te 1.90, 2 Ni 2.07
O 0.1456 0.1811 0.1379  2 Te 2.04, 1 Ni 2.20
O 0.8544 0.8189 0.8621  2 Te 2.04, 1 Ni 2.20
O 0.3544 0.5690 0.3621  2 Te 2.04, 1 Ni 2.20
O 0.1456 0.6811 0.1379  2 Te 2.04, 1 Ni 2.20
O 0.6457 0.4310 0.6379  2 Te 2.04, 1 Ni 2.20
O 0.9070 0.3277 0.3449  1 Te 1.90, 2 Ni 2.07
O 0.4070 0.5776 0.8448  1 Te 1.90, 2 Ni 2.06-2.07
O 0.0930 0.1723 0.6551  1 Te 1.90, 2 Ni 2.07
O 0.6456 0.9310 0.6379  2 Te 2.04, 1 Ni 2.20
O 0.5930 0.9224 0.1552  1 Te 1.90, 2 Ni 2.06-2.07
O 0.9070 0.8276 0.3449  1 Te 1.90, 2 Ni 2.07
Ni 0.2500 0.3749 0.7498  6 O 2.07-2.20
Ni 0.2504 0.8749 0.7499  6 O 2.06-2.20
Ni 0.7499 0.1251 0.2502  6 O 2.07-2.20
Ni 0.7496 0.6252 0.2501  6 O 2.06-2.20
Te 0.7501 0.6250 0.7500  6 O 1.90-2.04
Te 0.2499 0.3750 0.2500  6 O 1.90-2.04
Te 0.2499 0.8750 0.2500  6 O 1.90-2.04
Te 0.7501 0.1250 0.7500  6 O 1.90-2.04

## Properties
**Polymorph energy (0 for the lowest one)**: 0.0991 eV per atom

=====

Entry 2:
The following is a PBE with a Hubbard U calculation of a relaxed Ba2V3BiO11 crystal, from the Materials Project.

a = 5.8776 Å, b = 7.8674 Å, c = 25.1345 Å
α = 90.00°, β = 102.59°, γ = 90.00°
Last column: nearest neighbours and their distance in Å.
Element x y z (fractional)
Ba 0.1235 0.2482 0.3694  6 O 2.70-2.93
Ba 0.1235 0.2518 0.8694  6 O 2.70-2.93
Ba 0.2237 0.7415 0.9726  9 O 2.84-3.02
Ba 0.2237 0.7585 0.4726  9 O 2.84-3.02
Ba 0.7763 0.2415 0.5274  9 O 2.84-3.02
Ba 0.7763 0.2585 0.0274  9 O 2.84-3.02
Ba 0.8765 0.7482 0.1306  6 O 2.70-2.93
Ba 0.8765 0.7518 0.6306  6 O 2.70-2.93
V 0.0501 0.7445 0.7989  4 O 1.69-1.81
V 0.0501 0.7555 0.2989  4 O 1.69-1.81
V 0.3376 0.0174 0.5923  4 O 1.71-1.83
V 0.3376 0.4826 0.0923  4 O 1.71-1.83
V 0.3433 0.0213 0.0907  4 O 1.70-1.82
V 0.3433 0.4787 0.5907  4 O 1.70-1.82
V 0.6567 0.5213 0.4093  4 O 1.70-1.82
V 0.6567 0.9787 0.9093  4 O 1.70-1.82
V 0.6624 0.5174 0.9077  4 O 1.71-1.83
V 0.6624 0.9826 0.4077  4 O 1.71-1.83
V 0.9499 0.2445 0.7011  4 O 1.69-1.81
V 0.9499 0.2555 0.2011  4 O 1.69-1.81
Bi 0.4926 0.5025 0.2525  4 O 2.24-2.34
Bi 0.4926 0.9975 0.7525  4 O 2.24-2.34
Bi 0.5074 0.0025 0.2475  4 O 2.24-2.34
Bi 0.5074 0.4975 0.7475  4 O 2.24-2.34
O 0.0672 0.5476 0.3154  1 V 1.69
O 0.0672 0.9524 0.8154  1 V 1.69
O 0.0729 0.5524 0.5600  1 V 1.71
O 0.0729 0.9476 0.0600  1 V 1.71
O 0.0773 0.5603 0.0569  1 V 1.71
O 0.0773 0.9397 0.5569  1 V 1.71
O 0.1008 0.6221 0.8560  1 V 1.70
O 0.1008 0.8779 0.3560  1 V 1.70
O 0.2386 0.2133 0.7431  1 V 1.81
O 0.2386 0.2867 0.2431  1 V 1.81
O 0.2641 0.7082 0.7585  1 V 1.80
O 0.2641 0.7918 0.2585  1 V 1.80
O 0.3388 0.2479 0.5840  2 V 1.82-1.83
O 0.3388 0.2521 0.0840  2 V 1.82-1.83
O 0.3903 0.5578 0.1589  1 V 1.74
O 0.3903 0.9422 0.6589  1 V 1.74
O 0.4187 0.5582 0.6564  1 V 1.73
O 0.4187 0.9418 0.1564  1 V 1.73
O 0.4578 0.0545 0.9435  1 V 1.70
O 0.4578 0.4455 0.4435  1 V 1.70
O 0.4595 0.0616 0.4405  1 V 1.71
O 0.4595 0.4384 0.9405  1 V 1.71
O 0.5405 0.5616 0.0595  1 V 1.71
O 0.5405 0.9384 0.5595  1 V 1.71
O 0.5422 0.5545 0.5565  1 V 1.70
O 0.5422 0.9455 0.0565  1 V 1.70
O 0.5813 0.0582 0.8436  1 V 1.73
O 0.5813 0.4418 0.3436  1 V 1.73
O 0.6097 0.0578 0.3411  1 V 1.74
O 0.6097 0.4422 0.8411  1 V 1.74
O 0.6612 0.7479 0.9160  2 V 1.82-1.83
O 0.6612 0.7521 0.4160  2 V 1.82-1.83
O 0.7359 0.2082 0.7415  1 V 1.80
O 0.7359 0.2918 0.2415  1 V 1.80
O 0.7614 0.7133 0.7569  1 V 1.81
O 0.7614 0.7867 0.2569  1 V 1.81
O 0.8992 0.1221 0.6440  1 V 1.70
O 0.8992 0.3779 0.1440  1 V 1.70
O 0.9227 0.0603 0.4431  1 V 1.71
O 0.9227 0.4397 0.9431  1 V 1.71
O 0.9271 0.0524 0.9400  1 V 1.71